### Exercise
Start at the top of the material underneath and set down each line, ending with the one that has "0.15526".

### Given
____________
Formula: C3HCl3
Source: the Open Molecules 2025 dataset
Level of theory: ωB97M-V/def2-TZVPD

Properties
SMILES = C#CC(Cl)(Cl)Cl
2S+1 = 1
energy relative to the best compared isomer or geometry (same formula, charge and spin) = 10.25 kcal/mol
Kohn-Sham gap = 11.162 eV
calculated total energy = -40691.68970 eV
HOMO level = -10.80 eV

CARTESIAN COORDINATES (ANGSTROEM)
C1 -1.72072 -0.09978 -0.15219
C2 -0.57958 0.08783 0.13272
C3 0.83405 0.06774 0.15526
Cl1 1.28767 -1.49970 -0.57257
Cl2 1.41604 1.57469 -0.73175
Cl3 1.54171 0.13913 1.67644
H1 -2.77917 -0.26991 -0.50790

* * * * *

A structure of composition C18H24IMnN4OS at a distorted geometry. Source: OMol25; level of theory: wB97M-V/def2-TZVPD.

Charge: -2
Highest occupied orbital energy (spin up / spin down) in eV: 1.38 / 1.63
E_tot in eV: -77313.090
Expectation value of S²: 6.18
E_LUMO (spin up / spin down) in Ha: 0.177 / 0.177
Spin multiplicity: 5

Cartesian coordinates (Å):
C1 1.163 -0.713 -3.592
I1 -1.256 3.549 -2.512
H1 0.084 -0.835 -3.768
H2 1.656 -1.598 -4.012
H3 1.514 0.177 -4.137
C2 -1.059 3.594 0.527
C3 -2.076 3.275 -0.414
N1 -1.927 1.820 -0.505
C4 -0.639 1.499 -0.188
N2 -0.156 2.553 0.509
H4 -0.827 4.575 0.944
H5 -3.085 3.665 -0.276
C5 1.778 -3.626 -0.174
C6 1.054 -1.912 -1.438
N3 1.855 -2.272 -0.384
H6 0.759 -5.177 -1.332
N4 0.653 -3.119 -2.002
H7 2.273 -4.106 0.653
Mn1 -0.410 -0.141 -1.053
C7 1.344 -0.601 -2.171
O1 1.954 0.372 -1.584
C8 1.029 -4.146 -1.169
C9 -0.182 -3.371 -3.165
H8 -1.106 -2.775 -3.159
H9 -0.490 -4.417 -3.172
H10 0.350 -3.218 -4.114
C10 2.498 -1.376 0.538
H11 3.341 -1.909 0.990
H12 1.789 -1.060 1.322
H13 2.860 -0.494 0.005
C11 1.188 2.666 1.057
H14 1.349 3.736 1.213
H15 1.929 2.258 0.357
H16 1.245 2.124 2.009
C12 -2.696 1.026 -1.462
H17 -2.781 1.587 -2.423
H18 -3.729 0.831 -1.075
H19 -2.186 0.036 -1.658
S1 -1.039 -1.389 1.095
C13 -0.932 -0.334 2.462
C14 0.217 -0.342 3.287
C15 0.434 0.704 4.192
C16 -0.566 1.676 4.403
C17 -1.760 1.602 3.685
C18 -1.968 0.591 2.746
H20 0.953 -1.142 3.156
H21 1.397 0.770 4.706
H22 -0.387 2.489 5.109
H23 -2.529 2.365 3.814
H24 -2.880 0.533 2.161
____________

### Done
Formula: C3HCl3
Source: the Open Molecules 2025 dataset
Level of theory: ωB97M-V/def2-TZVPD

Properties
SMILES = C#CC(Cl)(Cl)Cl
2S+1 = 1
energy relative to the best compared isomer or geometry (same formula, charge and spin) = 10.25 kcal/mol
Kohn-Sham gap = 11.162 eV
calculated total energy = -40691.68970 eV
HOMO level = -10.80 eV

CARTESIAN COORDINATES (ANGSTROEM)
C1 -1.72072 -0.09978 -0.15219
C2 -0.57958 0.08783 0.13272
C3 0.83405 0.06774 0.15526